We are ninja cats
Everybody is Kung Fu fighting, these cats are fast as lighting..
For those of you who have been following me on Instagram for a while, you know I’m known for my amazing ninja moves. Ever since Brutus, our neighbor cat, came into my life we have been practicing non stop! And Jazz has also joined the ninja party ever since she has been able to go outside. We thought it would be fun to show you our best moves over the past few years.
Who is Brutus?
A little introduction for those who don’t know him yet. Brutus is our neighbor! He is a ginger born in 2017 and lives in the house that is attached to our garden at the back. Brutus and I first met back in 2018 and ever since he’s been coming to our garden every day.
What started out with getting to know each other by gently sniffing changed into epic ninja battles we share almost every day.
Once Jazz was allowed to go outside, she instantly wanted to join the pawty. We teached her a few moves and now she is a junior ninja.
Best moves of June
Over the past few years I have developed some signature moves during my ninja battles. Did you notice? The moves I do the most are:
- Ninja roll
- Smell my butt
- Play dead
- Paw smash
- Speed running
- Knock over
Watch all my moves in the compilation videos below!
Best moves of Jazz
Playing ninja with Jazz is a whole other game. Jazz has a lot of energy! She is still learning, but has developed a few signature moves (and also copied a bit from us):
- Big hug
- High jump
- Boop
- Speed running
Watch all these moves in the compilation videos below!
Best moves of Brutus
Brutus is mostly the beginning factor of every ninja fight. He loves to play and also has a few moves that he loves to do:
- Surprise jump
- Boop
Attached: records of crystals:
........
Entry 1:
Compound: Fe3CoMo
Source: the Alexandria database
Functional: GGA-PBE
Structure: optimized geometry

formation enthalpy at 0 K = 166.0 kJ per mole of atoms
relative energy among the computed polymorphs = 1.27 eV/f.u.
uncorrected energy = -34.72 eV/f.u.

Cell lengths 4.388, 4.388, 4.388 Å; angles 90.00, 90.00, 90.00 degrees
Space group Pm-3m (No. 221)
One atom of each set of equivalent atoms:
Fe 0.000 0.000 0.500
Co 0.500 0.500 0.500
Mo 0.000 0.000 0.000

***

Entry 2:
Compound: CaHo2Zr
Source: the Alexandria database
Functional: GGA-PBE
Structure: optimized geometry

formation enthalpy at 0 K = 9.9 kJ per mole of atoms
relative energy among the computed polymorphs = 0.00 eV/f.u.
uncorrected energy = -19.30 eV/f.u.

Cell lengths 3.490, 3.490, 10.150 Å; angles 90.00, 90.00, 90.00 degrees
Space group P4/mmm (No. 123)
One atom of each set of equivalent atoms:
Ca 0.000 0.000 0.000
Ho 0.500 0.500 0.285
Zr 0.000 0.000 0.500

~~~~~

A relaxed YPuNpO6 crystal, computed with PBE.

a b c (Å): 5.762 5.762 9.401
angles (deg): 90.00 90.00 120.00
Atoms (fractional coordinates):
Y: 0.333 0.667 0.250
Y: 0.667 0.333 0.750
Pu: 0.000 0.000 0.000
Pu: 0.000 0.000 0.500
Np: 0.333 0.667 0.750
Np: 0.667 0.333 0.250
O: 0.022 0.350 0.632
O: 0.022 0.672 0.868
O: 0.328 0.350 0.868
O: 0.328 0.978 0.632
O: 0.350 0.022 0.132
O: 0.350 0.328 0.368
O: 0.650 0.672 0.632
O: 0.650 0.978 0.868
O: 0.672 0.022 0.368
O: 0.672 0.650 0.132
O: 0.978 0.328 0.132
O: 0.978 0.650 0.368

Uncorrected formation energy: -3.06 eV per atom
DOS at the Fermi energy: 1.06 states/eV/atom


A relaxed RbNpO4 crystal, computed with PBE.

a b c (Å): 3.630 3.630 6.758
angles (deg): 90.00 90.00 90.00
Atoms (fractional coordinates):
Rb: 0.000 0.000 0.000
Np: 0.500 0.500 0.500
O: 0.000 0.500 0.325
O: 0.000 0.500 0.675
O: 0.500 0.000 0.325
O: 0.500 0.000 0.675

Polymorph energy (0 for the lowest one): 322.0 meV/atom
Uncorrected formation energy: -2.15 eV per atom
DOS at the Fermi energy: 0.27 states/eV/atom


A relaxed Rb2NpO4 crystal, computed with PBE.

a b c (Å): 6.800 11.313 3.548
angles (deg): 90.00 90.00 90.00
Atoms (fractional coordinates):
Rb: 0.053 0.176 0.000
Rb: 0.447 0.676 0.000
Rb: 0.553 0.324 0.000
Rb: 0.947 0.824 0.000
Np: 0.000 0.500 0.500
Np: 0.500 0.000 0.500
O: 0.119 0.653 0.500
O: 0.177 0.452 0.000
O: 0.323 0.952 0.000
O: 0.381 0.153 0.500
O: 0.619 0.847 0.500
O: 0.677 0.048 0.000
O: 0.823 0.548 0.000
O: 0.881 0.347 0.500

Uncorrected formation energy: -2.42 eV per atom
DOS at the Fermi energy: 0.28 states/eV/atom

~~~~~

The following is a DFT calculation (PBE) of a geometry-optimized Na8Al6Si6BrClO24 structure.

Computed properties:
Electronic total energy   -6.77 eV/atom
Raw formation energy   -2.68 eV/atom

Geometry as CIF:
```
data_Na8Al6Si6BrClO24
_chemical_formula_sum 'Na8 Al6 Si6 Br1 Cl1 O24'
_symmetry_space_group_name_H-M 'P 2 3'
_symmetry_Int_Tables_number 195
_symmetry_space_group_name_Hall 'P 2 2 3'
_cell_length_a 8.994
_cell_length_b 8.994
_cell_length_c 8.994
........
- Abort attack
Watch these moves in the compilation videos below!
Is your kitty a ninja too?
I have a short hair female tabby named Chiqui, she is a great ninja! Waits for the perfect moment to atack?. She is the youngest of 6 so the seniors, sometimes “correct” her behaviour with paws and hissing. Crazy cat family we are? . We love your videos on IG, send you blessings from Argentina??
I wish just once Junior would clean Brutus’ clock. I was glad to see that in one of her moves she backs him up and stands her ground. Brutus is a bully! He hits her hard. But she must he having a good time because if she wasn’t she’d refuse to go and/or stay out when he’s loose.
Now Jazzy can give him what for. I was glad to see her knocking him about the way he does June. Very satisfying to witness. They sure get a workout. No wonder they sleep a lot! You have two very beautiful kitties and much to be proud of!!!